_Listing_
'''
(1)
For K2LiTaF6, a structure optimized by DFT (GGA-PBE) gives the computed powder diffractogram in this record (λ = 1.5418 Å (Cu Kα)).
Lines closer than 0.1° are merged.

Peak list (12 most intense, 10 to 90 degrees two-theta, sorted by position)
| h k l | d/Å | Rel. int. |
| --- | --- | --- |
| 0 1 1 | 4.990 | 909 |
| 1 0 1 | 4.681 | 1000 |
| 1 1 0 | 4.194 | 439 |
| 0 0 2 | 4.155 | 218 |
| 0 2 0 | 3.120 | 279 |
| 1 1 2 | 2.952 | 944 |
| 2 0 0 | 2.832 | 218 |
| 1 2 1 | 2.596 | 359 |
| 2 1 1 | 2.463 | 368 |
| 2 2 0 | 2.097 | 493 |
| 0 0 4 | 2.078 | 244 |
| 2 2 4 | 1.476 | 286 |

Structural model:
```
data_K2LiTaF6
_chemical_formula_sum 'K4 Li2 Ta2 F12'
_cell_length_a 5.6645
_cell_length_b 6.2405
_cell_length_c 8.3107
_cell_angle_alpha 90.00
_cell_angle_beta 90.00
_cell_angle_gamma 90.00
_space_group_name_H-M_alt 'I m m m'
_space_group_IT_number 71
_space_group_name_Hall '-I 2 2'
loop_
_atom_site_label
_atom_site_fract_x
_atom_site_fract_y
_atom_site_fract_z
K1 0.0000 0.0000 0.2479
Li1 0.0000 0.5000 0.5000
Ta1 0.0000 0.5000 0.0000
F1 0.0000 0.5000 0.2490
F2 0.2299 0.2353 0.0000
```

(2)
For K2LiTlF6, a structure optimized by DFT (GGA-PBE) gives the computed powder diffractogram in this record (λ = 1.5418 Å (Cu Kα)).
Lines closer than 0.1° are merged.

Peak list (12 most intense, 10 to 90 degrees two-theta, sorted by position)
| h k l | d/Å | Rel. int. |
| --- | --- | --- |
| 1 1 1 | 4.925 | 1000 |
| 2 0 0 | 4.265 | 395 |
| 2 2 0 | 3.016 | 784 |
| 3 1 1 | 2.572 | 644 |
| 4 0 0 | 2.132 | 385 |
| 3 3 1 | 1.957 | 312 |
| 4 2 0 | 1.907 | 191 |
| 4 2 2 | 1.741 | 318 |
| 3 3 3 | 1.642 | 214 |
| 4 4 0 | 1.508 | 231 |
| 5 3 1 | 1.442 | 209 |
| 6 4 2 | 1.140 | 168 |

Structural model:
```
data_K2LiTlF6
_chemical_formula_sum 'K8 Li4 Tl4 F24'
_cell_length_a 8.5295
_cell_length_b 8.5295
_cell_length_c 8.5295
_cell_angle_alpha 90.00
_cell_angle_beta 90.00
_cell_angle_gamma 90.00
_space_group_name_H-M_alt 'F m -3 m'
_space_group_IT_number 225
_space_group_name_Hall '-F 4 2 3'
loop_
_atom_site_label
_atom_site_fract_x
_atom_site_fract_y
_atom_site_fract_z
K1 0.2500 0.2500 0.2500
Li1 0.0000 0.0000 0.0000
Tl1 0.0000 0.0000 0.5000
F1 0.0000 0.0000 0.2433
```

(3)
For KLiTmF5, a structure optimized by DFT (GGA-PBE) gives the computed powder diffractogram in this record (λ = 1.5418 Å (Cu Kα)).
Lines closer than 0.1° are merged.

Peak list (12 most intense, 10 to 90 degrees two-theta, sorted by position)
| h k l | d/Å | Rel. int. |
| --- | --- | --- |
| 0 2 0 | 5.925 | 1000 |
| 0 1 1 | 5.167 | 135 |
| 1 1 -1 | 4.871 | 358 |
| 1 1 1 | 3.329 | 585 |
| 0 3 1 | 3.255 | 142 |
| 1 3 -1 | 3.177 | 231 |
| 1 0 -2 | 3.131 | 213 |
| 2 1 -1 | 3.096 | 354 |
| 0 4 0 | 2.964 | 139 |
| 1 2 -2 | 2.768 | 161 |
| 1 5 -1 | 2.167 | 136 |
| 0 1 3 | 1.889 | 140 |

Structural model:
```
data_KLiTmF5
_chemical_formula_sum 'K4 Li4 Tm4 F20'
_cell_length_a 6.4594
_cell_length_b 11.8545
_cell_length_c 6.2855
_cell_angle_alpha 90.00
_cell_angle_beta 114.02
_cell_angle_gamma 90.00
_space_group_name_H-M_alt 'P 1 21/c 1'
_space_group_IT_number 14
loop_
_space_group_symop_operation_xyz
'x,y,z'
'-x,-y,-z'
'-x,y+1/2,-z+1/2'
'x,-y+1/2,z+1/2'
loop_
_atom_site_label
_atom_site_fract_x
_atom_site_fract_y
_atom_site_fract_z
K1 0.0595 0.1500 0.0432
Li1 0.4363 0.7467 0.5361
Tm1 0.3179 0.5019 0.1799
F1 0.0449 0.5098 0.8294
F2 0.2733 0.6916 0.2193
F3 0.2938 0.1721 0.7763
F4 0.3359 0.5290 0.5467
F5 0.4648 0.1029 0.4642
```

(4)
For K2LiYF6, a structure optimized by DFT (GGA-PBE) gives the computed powder diffractogram in this record (λ = 1.5418 Å (Cu Kα)).
Lines closer than 0.1° are merged.

Peak list (12 most intense, 10 to 90 degrees two-theta, sorted by position)
| h k l | d/Å | Rel. int. |
| --- | --- | --- |
| 1 1 1 | 4.941 | 806 |
| 2 0 0 | 4.279 | 187 |
| 2 2 0 | 3.025 | 1000 |
| 3 1 1 | 2.580 | 507 |
| 2 2 2 | 2.470 | 211 |
| 4 0 0 | 2.139 | 806 |
| 3 3 1 | 1.963 | 245 |
| 4 2 2 | 1.747 | 379 |
| 3 3 3 | 1.647 | 151 |
| 4 4 0 | 1.513 | 453 |
| 6 2 0 | 1.353 | 163 |
'''

_Work order_
It remains to restate all of the contents above exactly.

_Outcome_
(1)
For K2LiTaF6, a structure optimized by DFT (GGA-PBE) gives the computed powder diffractogram in this record (λ = 1.5418 Å (Cu Kα)).
Lines closer than 0.1° are merged.

Peak list (12 most intense, 10 to 90 degrees two-theta, sorted by position)
| h k l | d/Å | Rel. int. |
| --- | --- | --- |
| 0 1 1 | 4.990 | 909 |
| 1 0 1 | 4.681 | 1000 |
| 1 1 0 | 4.194 | 439 |
| 0 0 2 | 4.155 | 218 |
| 0 2 0 | 3.120 | 279 |
| 1 1 2 | 2.952 | 944 |
| 2 0 0 | 2.832 | 218 |
| 1 2 1 | 2.596 | 359 |
| 2 1 1 | 2.463 | 368 |
| 2 2 0 | 2.097 | 493 |
| 0 0 4 | 2.078 | 244 |
| 2 2 4 | 1.476 | 286 |

Structural model:
```
data_K2LiTaF6
_chemical_formula_sum 'K4 Li2 Ta2 F12'
_cell_length_a 5.6645
_cell_length_b 6.2405
_cell_length_c 8.3107
_cell_angle_alpha 90.00
_cell_angle_beta 90.00
_cell_angle_gamma 90.00
_space_group_name_H-M_alt 'I m m m'
_space_group_IT_number 71
_space_group_name_Hall '-I 2 2'
loop_
_atom_site_label
_atom_site_fract_x
_atom_site_fract_y
_atom_site_fract_z
K1 0.0000 0.0000 0.2479
Li1 0.0000 0.5000 0.5000
Ta1 0.0000 0.5000 0.0000
F1 0.0000 0.5000 0.2490
F2 0.2299 0.2353 0.0000
```

(2)
For K2LiTlF6, a structure optimized by DFT (GGA-PBE) gives the computed powder diffractogram in this record (λ = 1.5418 Å (Cu Kα)).
Lines closer than 0.1° are merged.

Peak list (12 most intense, 10 to 90 degrees two-theta, sorted by position)
| h k l | d/Å | Rel. int. |
| --- | --- | --- |
| 1 1 1 | 4.925 | 1000 |
| 2 0 0 | 4.265 | 395 |
| 2 2 0 | 3.016 | 784 |
| 3 1 1 | 2.572 | 644 |
| 4 0 0 | 2.132 | 385 |
| 3 3 1 | 1.957 | 312 |
| 4 2 0 | 1.907 | 191 |
| 4 2 2 | 1.741 | 318 |
| 3 3 3 | 1.642 | 214 |
| 4 4 0 | 1.508 | 231 |
| 5 3 1 | 1.442 | 209 |
| 6 4 2 | 1.140 | 168 |

Structural model:
```
data_K2LiTlF6
_chemical_formula_sum 'K8 Li4 Tl4 F24'
_cell_length_a 8.5295
_cell_length_b 8.5295
_cell_length_c 8.5295
_cell_angle_alpha 90.00
_cell_angle_beta 90.00
_cell_angle_gamma 90.00
_space_group_name_H-M_alt 'F m -3 m'
_space_group_IT_number 225
_space_group_name_Hall '-F 4 2 3'
loop_
_atom_site_label
_atom_site_fract_x
_atom_site_fract_y
_atom_site_fract_z
K1 0.2500 0.2500 0.2500
Li1 0.0000 0.0000 0.0000
Tl1 0.0000 0.0000 0.5000
F1 0.0000 0.0000 0.2433
```

(3)
For KLiTmF5, a structure optimized by DFT (GGA-PBE) gives the computed powder diffractogram in this record (λ = 1.5418 Å (Cu Kα)).
Lines closer than 0.1° are merged.

Peak list (12 most intense, 10 to 90 degrees two-theta, sorted by position)
| h k l | d/Å | Rel. int. |
| --- | --- | --- |
| 0 2 0 | 5.925 | 1000 |
| 0 1 1 | 5.167 | 135 |
| 1 1 -1 | 4.871 | 358 |
| 1 1 1 | 3.329 | 585 |
| 0 3 1 | 3.255 | 142 |
| 1 3 -1 | 3.177 | 231 |
| 1 0 -2 | 3.131 | 213 |
| 2 1 -1 | 3.096 | 354 |
| 0 4 0 | 2.964 | 139 |
| 1 2 -2 | 2.768 | 161 |
| 1 5 -1 | 2.167 | 136 |
| 0 1 3 | 1.889 | 140 |

Structural model:
```
data_KLiTmF5
_chemical_formula_sum 'K4 Li4 Tm4 F20'
_cell_length_a 6.4594
_cell_length_b 11.8545
_cell_length_c 6.2855
_cell_angle_alpha 90.00
_cell_angle_beta 114.02
_cell_angle_gamma 90.00
_space_group_name_H-M_alt 'P 1 21/c 1'
_space_group_IT_number 14
loop_
_space_group_symop_operation_xyz
'x,y,z'
'-x,-y,-z'
'-x,y+1/2,-z+1/2'
'x,-y+1/2,z+1/2'
loop_
_atom_site_label
_atom_site_fract_x
_atom_site_fract_y
_atom_site_fract_z
K1 0.0595 0.1500 0.0432
Li1 0.4363 0.7467 0.5361
Tm1 0.3179 0.5019 0.1799
F1 0.0449 0.5098 0.8294
F2 0.2733 0.6916 0.2193
F3 0.2938 0.1721 0.7763
F4 0.3359 0.5290 0.5467
F5 0.4648 0.1029 0.4642
```

(4)
For K2LiYF6, a structure optimized by DFT (GGA-PBE) gives the computed powder diffractogram in this record (λ = 1.5418 Å (Cu Kα)).
Lines closer than 0.1° are merged.

Peak list (12 most intense, 10 to 90 degrees two-theta, sorted by position)
| h k l | d/Å | Rel. int. |
| --- | --- | --- |
| 1 1 1 | 4.941 | 806 |
| 2 0 0 | 4.279 | 187 |
| 2 2 0 | 3.025 | 1000 |
| 3 1 1 | 2.580 | 507 |
| 2 2 2 | 2.470 | 211 |
| 4 0 0 | 2.139 | 806 |
| 3 3 1 | 1.963 | 245 |
| 4 2 2 | 1.747 | 379 |
| 3 3 3 | 1.647 | 151 |
| 4 4 0 | 1.513 | 453 |
| 6 2 0 | 1.353 | 163 |